Going to Multiple Doctors Can Make Your Pain Worse

One of the major problems in modern healthcare is language.

Patients don’t understand that most diagnoses are purely hypothetical. It’s a guess. It’s giving a name to what the doctor may think is the cause or the symptoms.

In fact, many doctors don’t even realize it’s a hypothesis. To make it worse, they sometimes they give the wrong diagnosis, false positives, or non-correlated findings.

Of course, this doesn’t apply to diagnostics that involve hard biological data (the flu, cancers, diabetes, infections, fractures, etc.).

What I’m talking about are the diagnoses that can only be proven in hindsight after treatment.

The story goes like this….

Dan has back pain. It isn’t getting better. In fact it’s getting worse.

He goes to urgent care. They tell him it’s a herniated disc and give him steroids.

It doesn’t get any better with this treatment.

He tries a chiropractor who tells him L5 is rotated on top of S1. The manipulation makes him worse.

He goes to an orthopedic doctor. The ortho doctor tells him he has spondylitis. Orders an injection. He mentions he might need a fusion when he’s older.

Dan gets the injection. It helps a little. But his pain is still debilitating.

Then he tries the local big box Physical Therapy company. The therapist tells him his pelvis is out of alignment. One is higher than the other. And that he has piriformis syndrome. They try some exercises. He’s more sore for the next 3 days.

One of his friends tells him to try acupuncture.

He finds this helpful and reduces his pain some. But he still can’t function in his day to day. He can’t pick up his kids or sit down for prolonged periods.

He tries a personal trainer. This guy tells him his back is weak. He has him perform deadlifts.

These records of crystals were left in the text by mistake =
........
Entry 1:
Structure and simulated PXRD pattern of PrSm2UN4 (the PBE geometry in Alexandria; Cu Kα (weighted mean of Kα1 and Kα2)).

Largest 6 diffraction maxima, low angle first, 10° ≤ 2θ ≤ 90°:
| two_theta | d_spacing | Rel. int. |
| --- | --- | --- |
| 30.70 | 2.912 | 1000 |
| 35.60 | 2.522 | 698 |
| 51.23 | 1.783 | 485 |
| 60.92 | 1.521 | 463 |
| 63.94 | 1.456 | 164 |
| 83.55 | 1.157 | 201 |

Cell and atoms:
```
PrSm2UN4
1.0
-2.521 2.521 5.049
2.521 -2.521 5.049
2.521 2.521 -5.049
Pr Sm U N
1 2 1 4
direct
0.000 0.000 0.000
0.500 0.500 0.000
0.750 0.250 0.500
0.250 0.750 0.500
0.032 0.532 0.500
0.253 0.253 0.000
0.468 0.968 0.500
0.747 0.747 0.000
```

Entry 2:
Structure and simulated PXRD pattern of Tl4RhI6 (the PBE geometry in Alexandria; Cu Kα (weighted mean of Kα1 and Kα2)).

Largest 6 diffraction maxima, low angle first, 10° ≤ 2θ ≤ 90°:
| two_theta | d_spacing | Rel. int. |
| --- | --- | --- |
| 13.16 | 6.730 | 123 |
| 28.25 | 3.159 | 1000 |
| 30.80 | 2.903 | 415 |
| 36.31 | 2.474 | 194 |
| 48.34 | 1.883 | 219 |
| 60.50 | 1.530 | 150 |

Cell and atoms:
```
Tl4RhI6
1.0
9.180 0.000 0.000
0.000 9.180 0.000
0.000 0.000 9.895
Tl Rh I
8 2 12
direct
0.147 0.353 0.250
0.147 0.353 0.750
0.353 0.853 0.250
0.353 0.853 0.750
0.647 0.147 0.250
0.647 0.147 0.750
0.853 0.647 0.250
0.853 0.647 0.750
0.000 0.000 0.000
0.500 0.500 0.500
0.000 0.000 0.272
0.000 0.000 0.728
0.133 0.716 0.000
0.216 0.633 0.500
0.284 0.133 0.000
0.367 0.216 0.500
0.500 0.500 0.228
0.500 0.500 0.772
0.633 0.784 0.500
0.716 0.867 0.000
0.784 0.367 0.500
0.867 0.284 0.000
```

Entry 3:
Structure and simulated PXRD pattern of Pm5Bi2Te4 (the PBE geometry in Alexandria; Cu Kα (weighted mean of Kα1 and Kα2)).

Largest 6 diffraction maxima, low angle first, 10° ≤ 2θ ≤ 90°:
| two_theta | d_spacing | Rel. int. |
| --- | --- | --- |
| 26.20 | 3.402 | 988 |
| 28.43 | 3.139 | 617 |
| 31.00 | 2.885 | 310 |
| 38.88 | 2.316 | 1000 |
| 39.02 | 2.309 | 882 |
| 70.46 | 1.336 | 463 |

Cell and atoms:
```
Pm5Bi2Te4
1.0
2.316 1.337 23.527
-2.316 1.337 23.527
0.000 -2.675 23.527
Pm Bi Te
5 2 4
direct
0.000 0.000 0.000
0.119 0.119 0.119
0.282 0.282 0.282
0.718 0.718 0.718
0.881 0.881 0.881
0.359 0.359 0.359
0.641 0.641 0.641
0.077 0.077 0.077
0.194 0.194 0.194
0.806 0.806 0.806
0.923 0.923 0.923
```


[1]
Structure and theoretical PXRD pattern of LiBeB (DFT lattice parameters and positions (PBE); Cu Kα (λ = 1.5418 Å)).
No peak broadening, texture or thermal motion is included.

Principal peaks in the range 10 to 90 degrees two-theta, low angle first:
two_theta, d/Å, I_rel
14.3, 6.204, 7
21.5, 4.136, 100
43.2, 2.095, 34
43.8, 2.068, 11
48.7, 1.869, 18
56.1, 1.641, 44
60.7, 1.525, 15
61.7, 1.504, 4
73.3, 1.292, 6
73.7, 1.285, 13
77.4, 1.233, 5
85.4, 1.137, 6

Structure:
```
12
Lattice="3.281 0.000 0.000 -1.641 2.842 0.000 0.000 0.000 12.409" Properties=species:S:1:pos:R:3 pbc="T T T"
Li 0.000 0.000 0.000
Li 0.000 0.000 2.467
Li 0.000 1.895 8.211
Li 1.641 0.947 4.186
Be 0.000 0.000 9.928
........

Dan can’t walk for 3 days after this.

So as of now, Dan has:

  • A herniated disc

  • A rotated vertebrae

  • Spondylitis

  • A rotated pelvis

  • Piriformis Syndrome

  • Stagnant chi

  • A weak back

So whether Dan realizes it or not, the summation of his medical care has only told him he’s extremely broken and nothing works.

This further makes his pain and dysfunction worse.

This hypothetical story happens so often that there are studies supporting the phenomenon that the more doctors you go to, the worse you get.

The Solution

Realize that no one knows truly what is causing your problem until it’s been fixed.

Diagnosis is almost always determined in hindsight after you have solved the problem.

They call this type of mindset a treatment-based classification system.

The best thing about it is that it focuses on the patient and WHAT WORKS. It doesn’t focus on diagnoses or theory. It focuses on results.

So take the diagnosis and theories with a grain of salt and just focus on what makes you better.

If you’re struggling figuring out what that is, give us a call.